About the PM's (Sunak's) speech: Stop demonising us

Tori_Scope Scope Posts: 12,454 Championing
edited July 2024 in Everyday life

Hi all,

I know many of you will have heard about Prime Minister Rishi Sunak's

speech on Britain's 'sick note culture'

 on Friday


He announced plans to make changes to Personal Independence Payment (PIP), one of the main disability benefits. And change how people are assessed as unfit for work. Among other suggestions.

I've read through some of the posts and comments you've all made here on the community. I want to thank those of you who've so candidly shared your fears about the announcements. And those of you who've kindly and patiently pointed out that these are only plans, and that nothing will happen straight away.

To be clear, we think these planned changes are a full-on assault on disabled people.

Disabled people, and those living with mental health conditions, are sick of being demonised. 

Threatening to take away the low income PIP provides to

disabled people who face £975 a month in extra costs

isn't going to solve the problem of economic inactivity. Sanctions and ending claims will only heap more misery on people at the sharp end of the cost of living crisis.

Sign our petition calling for the Government to stop demonising disabled people.

By using the link above, you'll also have the chance to send an email to your MP.

I hope to be able to share an opportunity for you to feed into our response to the Government's consultation on the above announcements next week, too. 



  • mrsBB
    mrsBB Online Community Member Posts: 87 Empowering
    Hi Tori

    I have done both. I did also use the part to contact my MP. I am quite stressed with other areas in my life just now but I felt compelled to at least make some kind of stance and it is so much easier when organisations like SCOPE help by making that stance as simple as possible so thank you for providing the very helpful template. If we do not all pull together in this we might as well remain without a real voice. 
  • mrsBB
    mrsBB Online Community Member Posts: 87 Empowering
    Oh gosh Mustang that is truly shocking 😮 but you know what I used a similar theory as that poster suggests in my email to my MP. Will see if I get a response, I was a little ranty I’m afraid but I had to get these thoughts off my chest and onto hers !! 
  • rubin16
    rubin16 Online Community Member, Scope Member Posts: 859 Championing
    I signed the petition and also did the email my MP thing, hopefully we get a response from it.
  • forgoodnesssake
    forgoodnesssake Online Community Member Posts: 508 Empowering
    Tried to do the MP letter as well but didn't work.  Kept telling me I needed to fill in a field which I already had.  Can you confirm it works on LINUX?
  • Remina
    Remina Online Community Member Posts: 273 Empowering
    66Mustang said:
    Feel free to remove it if you deem it inappropriate but I came across this poster while reading about something unrelated 

    Won't say where it's from will just say it was published to promote a certain (now defunct) prominent political party's agenda and thought it resembles the attitude of some modern politicians with the desire to turn working people against people who can't work!!!

    A rough translation, "60000 is what this hereditarily ill patient will cost the community for life / fellow citizen that is your money too"
    You are 100% spot-on with that observation Mustang, that poster is almost identical to the same propaganda we see used against us today, it's heartbreaking that the 'Aktion T4' program claimed the lives of around 200,000 sick/disabled back then, they were vulnerable, innocent people who were just trying to surivive/cope as best as they could, just like we are today... What's terrifying is that there is not a day that goes by where I don't see an article in one of the mainstream newspapers with a headline that conveys the same exact message as that poster. A seemingly never-ending joint effort by the government and mainstream media to attack and criticise the sick/disabled.

    We're seeing the exact same vile rhetoric and propaganda used against the sick/disabled as was seen back then. It's so sad that 80 years later in what is supposed to be a progressive, modern country, the government/media is still relentlessly pushing this dangerous, cruel narrative that the sick/disabled are the 'problem' in this country. They are wrong.

    I'm certainly going to be contacting my local MP and will use that poster as a reference comparrison for the recent attacks on the sick/disabled by the government/media.

    This never-ending assault on the most vulnerable people in society must end. 
  • mrsBB
    mrsBB Online Community Member Posts: 87 Empowering
    Hi Remina

    “I'm certainly going to be contacting my local MP and will use that poster as a reference comparrison for the recent attacks on the sick/disabled by the government/media.”

    I wish I had seen the poster last night when I contacted my MP. Like you I would have definitely included it as my email revolved around that very topic and the abhorrent rhetoric spouted by so many people who should know better ! 
  • Meg24
    Meg24 Online Community Member Posts: 369 Trailblazing
    I'm concerned that you have said "disabled people and people living with MH conditions" as if we are not disabled, which is exactly what Sunak & Co. are saying. 

    The official definition of Disabled includes people with MH conditions however it's often dismissed, sometimes by physically disabled people, some of whom display hostility towards us & question our right to disability benefits and services. 

    I don't want them to uss us against each other, we need to fight alongside, with mutual respect and validation. 

    Please consider changing your wording to make it inclusive, thanks.

  • mrsBB
    mrsBB Online Community Member Posts: 87 Empowering
    Hi Meg
    was it something I said ? I would hate to think I had undermined any vulnerable person either physically or mentally ill, I understand and have experience with both. Could you please clarify 😊
  • chiarieds
    chiarieds Online Community Member Posts: 16,688 Championing
    Hi @mrsBB - you certainly haven't said anything wrong. The phrase that Meg24 highlights is from the link Tori gave above about Scope's petition. I'm sure no offense was intended, as Scope is for all disabled people, but agree that the wording isn't the best, & should indeed be changed.
  • mrsBB
    mrsBB Online Community Member Posts: 87 Empowering
    Hi Chiarieds

    Thank you for clarifying that, I read and re read my post but wasn't sure if I was missing something  :)
  • Meg24
    Meg24 Online Community Member Posts: 369 Trailblazing
    edited April 2024
    mrsBB said:
    Hi Chiarieds

    Thank you for clarifying that, I read and re read my post but wasn't sure if I was missing something  :)
    Sorry for the confusion, Chiarieds is correct.
  • mrsBB
    mrsBB Online Community Member Posts: 87 Empowering
    Hi Meg24, it’s fine, we all do it at times, no biggie😊
  • Bingo
    Bingo Online Community Member Posts: 73 Contributor
    This is truly shocking. https://www.bbc.co.uk/news/articles/cn0ry09d50wo

    The only saving grace is I assume / hope this government will be out on its ear before they can implement such an horrendous change.
  • Tori_Scope
    Tori_Scope Scope Posts: 12,454 Championing
    Meg24 said:
    I'm concerned that you have said "disabled people and people living with MH conditions" as if we are not disabled, which is exactly what Sunak & Co. are saying. 

    The official definition of Disabled includes people with MH conditions however it's often dismissed, sometimes by physically disabled people, some of whom display hostility towards us & question our right to disability benefits and services. 

    I don't want them to uss us against each other, we need to fight alongside, with mutual respect and validation. 

    Please consider changing your wording to make it inclusive, thanks.
    Thanks for your comment @meg24! You raise a great point. 

    We of course agree that the umbrella of disability covers mental health conditions. And that many people with mental health conditions identify as disabled. 

Unrelated to this entry: records of molecules =
=====
Entry from the Open Molecules 2025 dataset: 4 unconnected molecules or ions with the total composition C64H63N4O10P2S2 (the ωB97M-V functional and the def2-TZVPD basis).

Properties
* frontier orbital gap: 6.92 eV
* total charge: +1
* electronic energy: -134070.47493 eV
* E_HOMO: -10.712 eV

Atoms and positions in Å:
C 0.675 -1.564 0.178
C 1.964 -0.743 0.035
N 2.761 -1.147 -1.133
C 3.145 -2.586 -1.043
C 4.386 -2.996 -1.822
C 3.904 -0.302 -1.249
S 5.010 -0.055 -0.090
S 4.223 0.480 -2.770
C 2.675 0.544 -3.707
C 2.835 -0.143 -5.071
C 1.525 -0.444 -5.791
N 0.652 -1.465 -5.175
P 1.253 -2.573 -3.947
O 1.599 -3.884 -4.524
C -0.615 -1.557 -5.566
N -1.031 -0.778 -6.621
P -0.929 -1.350 -8.329
C 0.505 -2.493 -8.320
O -0.281 -0.028 -9.031
N -1.486 -2.376 -4.886
C -2.789 -1.745 -4.636
C -3.276 -2.003 -3.218
C -2.350 -1.442 -2.138
C -1.795 -0.068 -2.387
O -0.637 0.234 -2.201
O -2.700 0.819 -2.847
C -1.446 -3.847 -5.167
C -2.501 -4.339 -6.116
C -3.817 -4.544 -5.717
C -4.764 -5.031 -6.601
C -4.427 -5.339 -7.915
C -5.435 -5.907 -8.869
C -3.108 -5.138 -8.311
C -2.163 -4.650 -7.427
H -0.161 -0.903 0.396
H 0.448 -2.118 -0.730
H 0.753 -2.269 1.001
H 2.538 -0.852 0.958
H 1.707 0.307 -0.087
H 3.250 -2.874 0.006
H 2.301 -3.161 -1.433
H 4.474 -2.494 -2.783
H 4.328 -4.068 -2.009
H 5.290 -2.833 -1.242
H 2.428 1.594 -3.856
H 1.861 0.119 -3.119
H 3.453 -1.037 -4.978
H 3.364 0.522 -5.754
H 1.762 -0.721 -6.806
H 0.951 0.482 -5.840
H 0.201 -2.567 -3.037
H 2.301 -1.866 -3.383
H -1.967 -0.423 -6.474
H 1.447 -1.970 -8.443
H 0.581 -3.134 -7.441
H 0.348 -3.130 -9.190
H 0.033 0.626 -8.395
H -3.559 -2.014 -5.361
H -2.656 -0.667 -4.723
H -3.320 -3.080 -3.045
H -4.294 -1.638 -3.105
H -2.905 -1.390 -1.197
H -1.501 -2.087 -1.939
H -2.199 1.509 -3.305
H -1.510 -4.378 -4.216
H -0.462 -4.088 -5.560
H -4.117 -4.335 -4.699
H -5.777 -5.181 -6.256
H -5.236 -5.583 -9.886
H -6.448 -5.650 -8.572
H -5.365 -6.996 -8.857
H -2.806 -5.385 -9.320
H -1.143 -4.542 -7.776
C -2.332 3.159 -0.846
C -2.704 2.270 0.158
C -3.824 2.523 0.928
C -4.574 3.672 0.702
C -4.190 4.571 -0.291
C -3.068 4.308 -1.068
C -4.954 5.832 -0.530
O -4.618 6.602 -1.404
C -6.131 6.105 0.340
C -6.830 7.293 0.173
C -7.934 7.561 0.964
C -8.349 6.640 1.920
C -7.654 5.455 2.094
C -6.539 5.185 1.310
C -5.792 3.917 1.533
O -6.150 3.105 2.358
H -1.453 2.955 -1.445
H -2.113 1.380 0.338
H -4.128 1.842 1.710
H -2.784 5.015 -1.836
H -6.500 7.999 -0.576
H -8.475 8.488 0.836
H -9.215 6.851 2.533
H -7.965 4.734 2.836
C 1.280 4.734 0.521
C 1.201 3.346 0.516
C 1.184 2.646 1.710
C 1.259 3.329 2.915
C 1.367 4.719 2.921
C 1.369 5.419 1.721
C 1.494 5.472 4.205
O 1.580 6.680 4.210
C 1.516 4.684 5.470
C 1.682 5.355 6.675
C 1.694 4.646 7.865
C 1.530 3.266 7.859
C 1.365 2.591 6.662
C 1.366 3.294 5.462
C 1.219 2.549 4.184
O 1.082 1.340 4.159
H 1.274 5.283 -0.412
H 1.139 2.805 -0.422
H 1.107 1.567 1.721
H 1.439 6.498 1.742
H 1.804 6.429 6.668
H 1.829 5.170 8.801
H 1.533 2.716 8.790
H 1.234 1.520 6.654
C 6.228 -4.478 11.473
C 4.870 -4.591 11.749
=====
The entry goes on =

    My colleague included a distinction in this case to ensure we're inclusive of people with mental health conditions who don't identify as disabled.

    As I'm sure you'll be aware, there's a way to go in removing the stigma of 'disabled' being a dirty word, and only applying to people with physical health conditions. This stigma can also be internalised, which is something I actually have personal experience of!

    At Scope, we also think people should identify in the way that feels most comfortable to them.

    As you've mentioned, the Prime Minister directly attacked people with mental health conditions. So we want to make sure people with mental health conditions who don't identify as being disabled know that we're still standing with them when fighting against these planned changes. 

    I hope that makes sense 🙂 We certainly didn't intend to cause any upset. And I really appreciate the time you've taken to feed back. We often use language like 'including x group', and we'll be sure to bear this in mind for future communications. I'll share your feedback with some more colleagues, too. 
  • judie
    judie Online Community Member Posts: 264 Empowering
    66Mustang said:
    Feel free to remove it if you deem it inappropriate but I came across this poster while reading about something unrelated 

    Won't say where it's from will just say it was published to promote a certain (now defunct) prominent political party's agenda and thought it resembles the attitude of some modern politicians with the desire to turn working people against people who can't work!!!

    A rough translation, "60000 is what this hereditarily ill patient will cost the community for life / fellow citizen that is your money too"

  • judie
    judie Online Community Member Posts: 264 Empowering
    Work sets you free springs to mind 
  • birdwatcher
    birdwatcher Online Community Member Posts: 108 Empowering
    I've signed the petition but it's a waste of time contacting my MP. I emailed him some time ago about one thing that's important to me. Months later I got one back about something totally different. And then after that another one. He didn't listen. I hope he comes canvassing on my doorstep come general election time. 
    What I would like is for sunak to wear my shoes for a week. My walking is terrible. I need a frame  to get round the house. I can't go out now and haven't for a few years. Pain from the shoulders down. And so far this mornings dose of meds haven't kicked in. That's not unusual. My incontinence isn't getting any better either. And other stuff that isn't so obvious going on
    I think if he was in my situation and probably other people's here he'd soon have a rethink. 
  • Tori_Scope
    Tori_Scope Scope Posts: 12,454 Championing
    There's no pressure for you to email your MP @birdwatcher :) I know that not everyone feels they get an adequate response from their MP, unfortunately. We'll share some opportunities for you to email the candidates in your area soon, which might be more up your street? 

    Thank you for signing the petition, and for sharing your personal experiences.